Source:
~~~
# Li2SnP4O12 | the Materials Project database | GGA-PBE | optimized geometry
data_Li2SnP4O12
_chemical_formula_sum 'Li8 Sn4 P16 O48'
_space_group_name_H-M_alt 'P 1'
_space_group_IT_number 1
_space_group_name_Hall 'P 1'
_cell_length_a 14.315
_cell_length_b 7.748
_cell_length_c 12.090
_cell_angle_alpha 59.60
_cell_angle_beta 90.00
_cell_angle_gamma 90.00
loop_
_atom_site_label
_atom_site_fract_x
_atom_site_fract_y
_atom_site_fract_z
Li1 0.796 0.400 0.696
Li2 0.361 0.065 0.072
Li3 0.296 0.600 0.804
Li4 0.861 0.935 0.428
Li5 0.139 0.065 0.572
Li6 0.704 0.400 0.196
Li7 0.639 0.935 0.928
Li8 0.204 0.600 0.304
Sn1 0.358 0.742 0.482
Sn2 0.858 0.258 0.018
Sn3 0.142 0.742 0.982
Sn4 0.642 0.258 0.518
P1 0.166 0.428 0.634
P2 0.585 0.570 0.645
P3 0.695 0.870 0.201
P4 0.085 0.430 0.855
P5 0.089 0.055 0.112
P6 0.666 0.572 0.866
P7 0.589 0.945 0.388
P8 0.195 0.130 0.299
P9 0.805 0.870 0.701
P10 0.411 0.055 0.612
P11 0.334 0.428 0.134
P12 0.911 0.945 0.888
P13 0.915 0.570 0.145
P14 0.305 0.130 0.799
P15 0.415 0.430 0.355
P16 0.834 0.572 0.366
O1 0.255 0.350 0.734
O2 0.662 0.422 0.662
O3 0.121 0.209 0.966
O4 0.851 0.705 0.420
O5 0.639 0.888 0.092
O6 0.488 0.527 0.620
O7 0.082 0.399 0.733
O8 0.143 0.863 0.153
O9 0.683 0.354 0.958
O10 0.183 0.646 0.542
O11 0.626 0.834 0.315
O12 0.582 0.601 0.767
O13 0.988 0.473 0.880
O14 0.621 0.791 0.534
O15 0.984 0.045 0.123
O16 0.767 0.024 0.183
O17 0.267 0.976 0.317
O18 0.484 0.955 0.377
O19 0.162 0.578 0.838
O20 0.755 0.650 0.766
O21 0.126 0.166 0.185
O22 0.649 0.705 0.920
O23 0.861 0.888 0.592
O24 0.357 0.863 0.653
O25 0.643 0.137 0.347
O26 0.139 0.112 0.408
O27 0.351 0.295 0.080
O28 0.874 0.834 0.815
O29 0.245 0.350 0.234
O30 0.838 0.422 0.162
O31 0.516 0.045 0.623
O32 0.733 0.024 0.683
O33 0.233 0.976 0.817
O34 0.016 0.955 0.877
O35 0.379 0.209 0.466
O36 0.012 0.527 0.120
O37 0.418 0.399 0.233
O38 0.374 0.166 0.685
O39 0.817 0.354 0.458
O40 0.317 0.646 0.042
O41 0.857 0.137 0.847
O42 0.918 0.601 0.267
O43 0.512 0.473 0.380
O44 0.361 0.112 0.908
O45 0.149 0.295 0.580
O46 0.879 0.791 0.034
O47 0.338 0.578 0.338
O48 0.745 0.650 0.266
# Total energy (eV/atom): -6.74
# Total magnetic moment (μB per formula unit): 0.0
# Formation energy from the elements (eV per atom): -2.493
# Relative energy among the computed polymorphs (kJ/mol of formula units): 124.9

----------

Below is crystalline CaFe2P2 at its relaxed geometry, with properties calculated at the meta-GGA r2SCAN level.

Its total energy is -57.46 eV for the cell shown. As for the formation energy: -0.717 eV per atom. The space group is I4/mmm (139).

Lattice parameters (Å, degrees): 3.7962 3.7962 5.6653 109.58 109.58 90.00
With the nearest neighbours (Å) after each atom.
Sites, in units of the cell vectors:
Ca  0.0000  0.0000  0.0000  8 P 3.04, 8 Fe 3.13
Fe  0.7500  0.2500  0.5000  4 P 2.17
Fe  0.2500  0.7500  0.5000  4 P 2.17
P  0.6436  0.6436  0.2872  4 Fe 2.17
P  0.3564  0.3564  0.7128  4 Fe 2.17


Below is crystalline Ca3Ga5 at its relaxed geometry, with properties calculated at the meta-GGA r2SCAN level.

Its total energy is -166.01 eV for the cell shown. As for the formation energy: -0.585 eV per atom. The space group is Cmcm (63).

Lattice parameters (Å, degrees): 4.4419 5.7884 14.9631 90.00 90.00 112.56
With the nearest neighbours (Å) after each atom.
Sites, in units of the cell vectors:
Ca  0.1288  0.2576  0.7500  9 Ga 3.13-3.27
Ca  0.8712  0.7424  0.2500  9 Ga 3.13-3.27
Ca  0.5905  0.1810  0.1096  11 Ga 3.10-3.37
Ca  0.4095  0.8190  0.8904  11 Ga 3.10-3.37
Ca  0.4095  0.8190  0.6096  11 Ga 3.10-3.37
Ca  0.5905  0.1810  0.3904  11 Ga 3.10-3.37
Ga  0.8349  0.6698  0.7500  2 Ga 2.63
Ga  0.1651  0.3302  0.2500  2 Ga 2.63
Ga  0.2927  0.5854  0.4002  4 Ga 2.62-2.75
Ga  0.7073  0.4146  0.5998  4 Ga 2.62-2.75
Ga  0.7073  0.4146  0.9002  4 Ga 2.62-2.75
Ga  0.2927  0.5854  0.0998  4 Ga 2.62-2.75
Ga  0.1162  0.2323  0.5334  4 Ga 2.62-2.75
Ga  0.8838  0.7677  0.4666  4 Ga 2.62-2.75
Ga  0.8838  0.7677  0.0334  4 Ga 2.62-2.75
~~~

Job:
Say how many lines of the rows further up hold the word "Li4", as a bare number, please.

Result:
1